Tuesday, September 24, 2013


Love is a very present theme here on Mk and believe me folks, I'm not one of those annoyingly romantic and sentimental teenager girls. If you have ever stopped by, you sure know of my several relapses on the subject. One of the many hypothesis that I mentally formulated regarding it was that I unconsciously assume that everything in my life is, at some level, connected to love and at the end of the day, regardless what happened, it all resumes to loving and being loved. So when I come to write down my troubles here on Mk, love is all I can translate them into.
One thing I must settle before going further on the subject is that I'm not necessarily loving in a romantic way someone right now. Cutting the chase, people, love isn't a priority for me. It was back in the day but after so much wear and tear, so much trying and getting disappointed afterwards, I decided to give a break. So, I'm undoubtedly  focused on planning my future ahead and enjoying this time of my life (they said these are the best years of your life, though I haven't done anything merely exciting... I'll remain praying they're right!). Thereby I am taking a sabbatical from everything that poisons my spiritual health ever since I flew back home. Trying not to take anything seriously and having some carefree fun. I'd be lying if I said I haven't had any relapses, I've had a few, all because I went back to wanting more than I could get and desiring what isn't mine. But happily, currently I am back on track, cool and joyfully focused!
I've been planning my future ahead. I have a lot going on and many more coming. I have my personal goals to attain at university, in my personal life and spiritually.
My personal life will see many changes coming soon starting from the place I'll be living at, which won't be the same and the people I'll be living with, who will be friends from my degree.
I also intend to get more involved at uni this year. Enroll at some societies and play some sports. Any of this can't be done without some financial security, so of course I'll be applying to some part-times, any kind of job really I can some days throughout the week or weekend, which will provide a substantial income by the end of the month besides my parents' monthly allowance, which I'm hoping not to need as much from now on.
Everything may sound somewhat idealistic and a lot to do but I really want to do it all. I'll start small and as adapt to the changes, I'll try new things. Keeping my time full and my life busy is important because it keeps me distracted.
So, this is it, bloggers. A brand new Tommy and a brand new season of my life coming out! Stay tuned if you don't wanna lose all the spicy details everybody loves (I'm kidding but we never truly know, do we? my life can get more exciting).

love always,

"Façam o Favor de Ser Felizes" - Raul Solnado

Friday, September 13, 2013

A vida paralela dos sonhos

Já se perguntaram se a vida que vivem é um sonho e o sonho em que adormecem é a vida que dura?
Duas realidades paralelamente distintas e simultaneamente intersectadas.  Cada só no seu destino mas nunca se despegando dos percalços da outra.
Eu sempre sonhei mais do que vivi. Tristemente aos sonhos sempre achei mais graça.
De dia, de noite, de pé, deitada. Sempre conheci mais do mundo dos sonhos do que a realidade dos vivos.

Ouve-se falar em sonhos ligados a coisas e à concretização de desejos tanto conscientes quanto inconscientes. Eu, em contrapartida, sempre sonhei com momentos, que embora de términos felizes ou infelizes, sempre caracterizaram atos de bravura incontestável, deleito vagaroso e contentamento incomparável.

Sonhei que vivi a vida que não vivi. De dia feliz. De noite apavorada.
"É tudo uma questão de controlo", dizem eles. Eu digo-te que eles poucos sabem.

# Next to the page, the page also holds materials data
<<<
For Li2Bi2S3O12, DFT lattice parameters and positions (PBE) gives the theoretical PXRD pattern in this record (Cu Kα (weighted mean of Kα1 and Kα2)).
Kinematic intensities with the Lorentz-polarization factor, no thermal factor.

Most intense lines, 10 to 90 degrees two-theta, most intense first:
(hkl)	Position (°2θ)	I (rel.)
1 1 -1	13.32	100.0
3 1 1	29.72	46.7
3 1 -1	20.23	41.0
0 2 0	17.78	40.1
3 3 -1	32.56	32.3
1 1 -3	32.69	31.0
4 0 -2	25.89	26.7
0 0 2	22.64	26.6
0 2 2	28.97	25.2
1 3 -1	28.64	24.1

Structural model:
```
data_Li2Bi2S3O12
_symmetry_space_group_name_H-M 'C 1 2/c 1'
_symmetry_Int_Tables_number 15
_symmetry_space_group_name_Hall '-C 2yc'
_cell_length_a 14.695
_cell_length_b 9.979
_cell_length_c 8.999
_cell_angle_alpha 90.00
_cell_angle_beta 119.42
_cell_angle_gamma 90.00
loop_
_atom_site_label
_atom_site_type_symbol
_atom_site_fract_x
_atom_site_fract_y
_atom_site_fract_z
Li1 Li 0.228 0.121 0.056
Bi1 Bi 0.086 0.240 0.443
S1 S 0.000 0.086 0.750
S2 S 0.162 0.399 0.177
O1 O 0.045 0.169 0.668
O2 O 0.046 0.392 0.080
O3 O 0.087 0.001 0.384
O4 O 0.198 0.337 0.353
O5 O 0.200 0.461 0.704
O6 O 0.207 0.321 0.088
```


Record 1
Starting from DFT lattice parameters and positions (PBE), the X-ray powder pattern of Cs2TlCd3In4 was computed for Cu Kα, 1.54184 Å.

Atomic structure:
Cell lengths 5.1395, 5.1395, 12.7871 Å; angles 90.00, 90.00, 90.00 degrees
Fractional positions:
Cs 0.0000 0.5000 0.2494
Cs 0.5000 0.0000 0.7506
Tl 0.0000 0.0000 0.5000
Cd 0.0000 0.5000 0.8708
Cd 0.5000 0.0000 0.1292
Cd 0.5000 0.5000 0.5000
In 0.0000 0.0000 0.0000
In 0.0000 0.5000 0.6335
In 0.5000 0.0000 0.3665
In 0.5000 0.5000 0.0000

Top 10 peaks for 2θ from 15° to 90°, in order of rising 2θ:
two_theta, intensity
27.2, 47
28.2, 100
34.9, 65
37.5, 37
39.4, 24
44.8, 24
50.2, 23
53.6, 19
58.6, 25
69.2, 16



Record 2
Starting from DFT lattice parameters and positions (PBE), the X-ray powder pattern of Li2Hf2O5 was computed for Cu Kα, 1.54184 Å.

Atomic structure:
Cell lengths 5.6014, 5.6014, 7.5847 Å; angles 109.62, 109.62, 70.88 degrees
Fractional positions:
Li 0.1834 0.7883 0.5406
Li 0.2117 0.8166 0.9594
Li 0.7883 0.1834 0.0406
Li 0.8166 0.2117 0.4594
Hf 0.2234 0.2803 0.8818
Hf 0.2803 0.2234 0.3818
Hf 0.7197 0.7766 0.6182
Hf 0.7766 0.7197 0.1182
O 0.0000 0.5000 0.5000
O 0.0265 0.9735 0.2500
O 0.0790 0.3691 0.1322
O 0.3691 0.0790 0.6322
O 0.5000 0.0000 0.0000
O 0.5000 0.5000 0.0000
O 0.5000 0.5000 0.5000
O 0.6309 0.9210 0.3678
O 0.9210 0.6309 0.8678
O 0.9735 0.0265 0.7500

Top 10 peaks for 2θ from 15° to 90°, in order of rising 2θ:
two_theta, intensity
21.4, 91
27.2, 100
27.5, 42
34.8, 36
34.9, 37
35.1, 32
43.5, 21
48.4, 23
52.2, 32
53.5, 21



Record 3
Starting from DFT lattice parameters and positions (PBE), the X-ray powder pattern of Sc2Ga2Ir was computed for Cu Kα, 1.54184 Å.

Atomic structure:
Cell lengths 5.3390, 5.3390, 5.3390 Å; angles 133.28, 122.27, 77.32 degrees
Fractional positions:
Sc 0.1976 0.1976 0.0000
Sc 0.8024 0.8024 0.0000
Ga 0.2384 0.5000 0.7384
>>>

No momento em que o sonho vira a realidade, o controlo converte-se no acaso.
A sorte é jogada na mesa e se de cara bendita fores, coroa não chorarás.
E se em vez de estar a sonhar este tempo todo, vivi a vida que sempre sonhei?

"Façam o Favor de Ser Felizes" - Raul Solnado

Tuesday, September 10, 2013

an unfortunate story.

I never meant to be this way. I believe you never meant to be the way you are too. Is it your fault? Is it my fault? I don't know. It wasn't by accident, for sure.
We're the result of what the world has given and taken away from us and following that same thought, I was pretty lucky. I received more than lost. You, on the other hand, you've suffered more... way too much for the kid you were, in fact. It wasn't by chance you became the way you are. They made you that way.

You know... it's funny when you look back. I was so complete. So united in my own self and then you came along as haughty as ever. You've looked me with the blind eyes you don't possess and the soft hands you wish you'd have. In that very moment I realised I was about lose everything I had, everything I was and everything I wanted. Feeling unbalanced on my own feet and closing myself to my own darkness.
Don't you ever dare saying I simply walked away. I had to. You spoiled my happiness. You spoiled my sense of purpose. What more could I have done but walk?
You don't like me this way: needy, whiner, jealous. I don't like to have you that way: far, uncommitted, unattached.
So now here I stand and there you stand.
Filling another page of the unfortunate story of humanity.

I wanna tell you
How much
I love you

"Façam o Favor de Ser Felizes" - Raul Solnado

When the truth is....I miss you.

Eu sou um ser extremamente carente e a culpa é tua.
Foste tu que me tornaste assim... tão carente.
Mimaste-me. Oh, como mimaste-me tu.
Como pude não viciar-me em ti? Responde-me. Como pude não viciar-me em ti?
Como pude não habituar-me à tua essência e deliciar-me da energia vital que trazias?

**What comes next are calculated crystals, not part of the page**
Starting from DFT lattice parameters and positions (PBE), the powder X-ray diffraction pattern of Ac4PPdS2 was computed for copper Kα.
Lines closer than 0.1° are merged.

Main lines, by angle (10° ≤ 2θ ≤ 90°):
Position (°2θ), intensity, (hkl)
24.58, 18, 0 0 2
24.77, 18, 2 0 0
25.00, 35, 1 1 -1
28.76, 100, 1 1 1
41.02, 26, 1 1 -3
41.25, 25, 3 1 -1

Structure:
```
Ac4PPdS2
1.0
7.5962 0.0000 0.0000
0.0000 4.3502 0.0000
-2.4758 0.0000 7.2420
Ac P Pd S
4 1 1 2
Direct
0.2485 0.0000 0.2449
0.2490 0.5000 0.7521
0.7510 0.5000 0.2479
0.7515 0.0000 0.7551
0.0000 0.5000 0.0000
0.0000 0.0000 0.5000
0.5000 0.0000 0.0000
0.5000 0.5000 0.5000
```

Tu, um ser completo. De tudo um pouco. De tudo um nada.
Eu, um ser tranvestido. Incompleto por natureza. Reduzido pelo vida.
Que viste tu em mim?
Perguntei-te tantas vezes. Que viste tu em mim?
Respondeste-me outrora que fora o brilho incessante que a lua tinha vista dos meus olhos. Tão brilhante quanto sol. Tão grandiosa quanto o mar.
Eu já não vejo a lua há muitos sóis.

Quem tem te deu o direito de arrebatares a  minha alma e de te contentares do meu fraco ser?
Esperavas que te deixasse escapar impune, de rompante, sem um pesar de olhos?
Conheces-me mal.

Como eras tu belo. Uma alegria para os olhos de uma pobre plebeia.
O meu ponto de encontro. O meu oposto feliz.
Era suposto ser um final feliz. Eu e tu. Tu e eu.
Mas tu morreste-me e eu desvaneço cada dia mais.

"Façam o Favor de Ser Felizes" - Raul Solnado

Saturday, September 7, 2013

To my friends.

# What comes next are data records, not part of the text
........
# 1
Starting from DFT lattice parameters and positions (GGA-PBE), the XRD peak list of Dy3TmHg7 was calculated for Cu Kα X-rays.
Peak positions follow from Bragg's law for the DFT cell and can differ from measured ones.

Principal peaks in the range 2θ = 10–80°, sorted by position:
13.35°, intensity 24
31.93°, intensity 31
32.88°, intensity 80
35.88°, intensity 100
36.68°, intensity 75
38.08°, intensity 27

Crystal structure
```
data_Dy3TmHg7
_cell_length_a 15.7175
_cell_length_b 15.7175
_cell_length_c 12.5660
_cell_angle_alpha 90.00
_cell_angle_beta 90.00
_cell_angle_gamma 166.81
_space_group_name_H-M_alt 'P 1'
_space_group_IT_number 1
loop_
_space_group_symop_operation_xyz
'x,y,z'
loop_
_atom_site_label
_atom_site_type_symbol
_atom_site_fract_x
_atom_site_fract_y
_atom_site_fract_z
_atom_site_occupancy
Dy1 Dy 0.0683 0.9317 0.5472 1
Dy2 Dy 0.0683 0.9317 0.9528 1
Dy3 Dy 0.1879 0.8121 0.2500 1
Dy4 Dy 0.8121 0.1879 0.7500 1
Dy5 Dy 0.9317 0.0683 0.0472 1
Dy6 Dy 0.9317 0.0683 0.4528 1
Tm1 Tm 0.0713 0.9287 0.2500 1
Tm2 Tm 0.9287 0.0713 0.7500 1
Hg1 Hg 0.2704 0.7296 0.5777 1
Hg2 Hg 0.2704 0.7296 0.9223 1
Hg3 Hg 0.3728 0.6272 0.6010 1
Hg4 Hg 0.3728 0.6272 0.8990 1
Hg5 Hg 0.4200 0.5800 0.2500 1
Hg6 Hg 0.4885 0.5115 0.6185 1
Hg7 Hg 0.4885 0.5115 0.8815 1
Hg8 Hg 0.5115 0.4885 0.1185 1
Hg9 Hg 0.5115 0.4885 0.3815 1
Hg10 Hg 0.5800 0.4200 0.7500 1
Hg11 Hg 0.6272 0.3728 0.1010 1
Hg12 Hg 0.6272 0.3728 0.3990 1
Hg13 Hg 0.7296 0.2704 0.0777 1
Hg14 Hg 0.7296 0.2704 0.4223 1
```


# 2
Starting from DFT lattice parameters and positions (GGA-PBE), the XRD peak list of DyTm3Hg2 was calculated for Cu Kα X-rays.
Peak positions follow from Bragg's law for the DFT cell and can differ from measured ones.

Principal peaks in the range 2θ = 10–80°, sorted by position:
29.30°, intensity 34
31.08°, intensity 25
32.22°, intensity 30
32.63°, intensity 100
34.42°, intensity 87
35.57°, intensity 59

Crystal structure
```
data_DyTm3Hg2
_cell_length_a 5.0472
_cell_length_b 9.1276
_cell_length_c 7.0035
_cell_angle_alpha 90.00
_cell_angle_beta 90.00
_cell_angle_gamma 90.00
_space_group_name_H-M_alt 'P 1'
_space_group_IT_number 1
loop_
_space_group_symop_operation_xyz
'x,y,z'
loop_
_atom_site_label
_atom_site_type_symbol
_atom_site_fract_x
_atom_site_fract_y
_atom_site_fract_z
_atom_site_occupancy
Dy1 Dy 0.0000 0.0551 0.0000 1
Dy2 Dy 0.0000 0.9449 0.5000 1
Tm1 Tm 0.0000 0.3262 0.6531 1
Tm2 Tm 0.0000 0.6738 0.1531 1
Tm3 Tm 0.5000 0.1771 0.3155 1
Tm4 Tm 0.5000 0.4446 0.9678 1
Tm5 Tm 0.5000 0.5554 0.4678 1
Tm6 Tm 0.5000 0.8229 0.8155 1
Hg1 Hg 0.0000 0.3516 0.2224 1
Hg2 Hg 0.0000 0.6484 0.7224 1
Hg3 Hg 0.5000 0.1491 0.7457 1
Hg4 Hg 0.5000 0.8509 0.2457 1
```


# 3
Starting from DFT lattice parameters and positions (GGA-PBE), the XRD peak list of Dy7TmHg4 was calculated for Cu Kα X-rays.
Peak positions follow from Bragg's law for the DFT cell and can differ from measured ones.

Principal peaks in the range 2θ = 10–80°, sorted by position:
29.87°, intensity 48
30.68°, intensity 43
........

I wanted to devote a post to my friends. Not any or a friend in particular but all and each of them because all of them, on their own way, have added sugar, love and energy to my days and without their worth-listening teachings/advices, I don't know how I would have coped with some difficult situations of my life. So, dear friends, this is for you. I love you all, very much.
It wouldn't be fair if I didn't kick off this post by highlighting my oldest, weirdest friend of all times and ever since I've known myself as a person - my older sister: Kika. It's obvious that we share a deeper connection because we've always been together and been through the same stuff. And it is also obvious that the bonds of sisterhood are fed by tons of love we feel for each other. But it doesn't end here because we, above all are friends. I've never been able to hide anything from her and that sucks. Truly sucks because sometimes, as any other person, I just want to keep stuff to myself and I can't. She has this 'I-know-what-you-are-thinking' look that always disarms me. She is really sincere and has really strong opinions on everything and everyone. Thereby I'm always really afraid of telling her sttuff because I know how crucial her opinion is to me. She's not one to judge people but if she doesn't like you, for a strong reason, you will be able to tell because she will tell you, on your face, anywhere, anytime. She's really that kind of person and everyone, including me, loves her for that. I know she will never lie to me, not even to make me happy. And I undoubedtely treasure that honesty. So, that is what she has taught me my entire life, bloggers - to not be afraid of being myself and to always choose truth over anything and regardless of any consequences that may come with it.
Moving on to my best friend. People ask me several times questions such as:
1. How can you be best friends with a guy?
2. Don't you feel uncomfortable telling him some personal things?
3. Have your friendship with him never developed or went in a more romantic path? It happens to everyone.
Well, to all of these questions and depending on who's asking, I usually reply with "he's a great guy and we get along very well, so it is quite easy to be best friends with him" to the people I know and like and to everyone else, I just send my "it's-none-of-your-business" look.
If you're a follower, you may have noticed already but my latest post, back on Aug 28th was about him. So if you're interested, you might want to have a quick look at it: http://mk-galhardo.blogspot.pt/2013/08/to-my-person.html to see how important he is to me and how deep our connection is today.
He also taught me a lot as my sister. Not only knowledgeable stuff (he's really bright) mostly confidence. He isn't confident all the time and I know that because I know him. But whenever he's put in a evaluation, whatever it is, you will see his confidence sparkling. You will see him aware of his value as a person and  projecting his magnificient potential on whatever he's doing. And I truly envy him for that. He's a role model for me and I really love him and I don't think I can quite say it enough times.
Oh, there's one thing that annoys me truly about him and it isn't really his fault. It's the fact that he's handsome and has always desperate ladies sniffing around him. I mean, I don't mind. I want him to be happy, above all but I honestly think he should pick one and stick with her ;)
I'm finishing up this post by talking about my longest friendship after the one I have with my sister. My one, only and loveliest friend Nini. Oh gosh, I've met Nini when I was only 10 years old and we have been friends ever since. It has been almost 10 years of crazy friendship, can you believe that? We were kids back then!
I still miss that time. Anywho, today, we're the kind of friends who don't need to talk to or see each everyday. I like it because it has come to really solid stage where we just cherish and support each other no  matter what, where or when. And whenever we have the opportunity to be together, it seems like we have never stopped talking or seeing each other. Like the old times. Sisters from different mothers, as we used to say.

I have more friends, happily. But I wanted to underline this top three because they're my family and a blessing I have God to thank to.

Love always,

PS. I have a lot of stuff coming up so make sure you stay tuned!

"Façam o Favor de Ser Felizes" - Raul Solnado